<<<
# 1
67
Properties=species:S:1:pos:R:3:mulliken_charge:R:1 method="wB97M-V/def2-TZVPD" relative_energy_kj_mol=0.0 e_tot_ha=-1240.2133 fmax_ev_per_a=2.30
N -1.52692 13.21148 -2.04279 0.829
H -0.97374 12.75292 -1.30239 0.346
H -1.23964 14.20334 -2.28362 0.264
H -2.49712 13.26875 -1.74849 0.018
H -1.45948 12.64246 -2.89143 -0.040
B -0.75327 15.97034 -2.63626 1.045
H -0.37178 16.25543 -1.58600 -0.418
H -0.08189 15.14695 -3.09110 -0.869
H -1.83686 15.57982 -2.58108 -0.224
H -0.79373 16.90160 -3.31076 -0.180
C 1.05179 10.49303 -5.11846 -1.300
C 0.32169 11.69690 -4.52608 -0.027
O -1.06488 11.42380 -4.28428 -0.462
H 0.61930 10.17029 -6.06469 0.385
H 1.04111 9.68076 -4.39195 0.267
H 2.07767 10.84948 -5.23182 0.405
H 0.41328 12.53821 -5.21568 0.472
H 0.82398 11.87166 -3.57410 -0.097
H -1.44920 11.22918 -5.14575 0.230
C -0.16426 9.53560 -1.16980 -0.836
C -0.93046 10.46275 -0.21050 -0.170
O -0.21738 11.71251 -0.18325 -0.681
H 0.91318 9.64048 -1.05178 0.261
H -0.42904 9.66814 -2.21804 0.023
H -0.42922 8.50194 -0.92876 0.439
H -1.07205 9.97758 0.75927 0.425
H -1.97358 10.61509 -0.49315 0.042
H 0.60074 11.61424 0.31076 0.301
C -3.92236 15.27327 0.59636 -1.193
C -4.63982 14.10526 -0.03996 -0.130
O -3.76668 12.97232 -0.03886 -0.536
H -3.77407 15.03248 1.65215 0.374
H -4.47356 16.20967 0.51618 0.368
H -2.96356 15.41641 0.09520 0.285
H -4.96165 14.35266 -1.05142 0.151
H -5.57396 13.89478 0.49054 0.362
H -3.32647 12.94317 0.81738 0.270
C -4.27307 10.85971 -3.08175 -0.145
C -4.54709 12.10767 -3.91134 -0.511
O -3.94182 13.25431 -3.31051 -0.344
O -4.79352 10.94173 -1.79214 -0.604
H -3.19624 10.63966 -3.05075 -0.106
H -4.66527 9.99667 -3.62638 0.405
H -5.61974 12.23843 -4.08564 0.413
H -4.15904 11.95511 -4.92771 0.314
H -4.34722 13.96631 -3.82172 0.207
H -4.39980 11.64982 -1.25983 0.401
C 3.34726 14.00811 -2.64242 -0.558
C 2.81903 13.47322 -1.28572 -0.373
O 1.49896 13.92205 -1.04927 -0.372
O 3.79260 15.35004 -2.52985 -0.541
H 2.59833 13.76973 -3.40332 0.164
H 4.21008 13.39666 -2.91867 0.417
H 3.49031 13.80862 -0.49255 0.319
H 2.82394 12.38829 -1.41301 0.339
H 1.45083 14.87313 -1.20083 0.181
H 2.99196 15.88975 -2.55379 0.367
C -0.27609 16.74905 -6.61717 -0.298
C -1.66285 16.99587 -6.00912 -0.555
O -2.12902 15.88212 -5.29127 -0.525
O 0.72563 16.37246 -5.69935 -0.555
H 0.07521 17.63903 -7.14560 0.339
H -0.31953 15.94313 -7.36419 0.240
H -2.34503 17.40481 -6.75437 0.375
H -1.52908 17.76792 -5.23989 0.289
H -1.82744 15.89427 -4.36250 0.163
H 0.31806 15.86310 -4.98367 0.155


# 2
198
Properties=species:S:1:pos:R:3:mulliken_charge:R:1 method="wB97M-V/def2-TZVPD" e_tot_ha=-3598.8446 charge=+1 fmax_ev_per_a=3.32
In 2.56002 0.88952 0.57258 1.036
C 0.03216 0.35992 -1.56051 0.670
O 1.21628 -0.24361 -1.01244 -0.866
H -0.41054 -0.40286 -2.22116 -0.164
H -0.76049 0.62341 -0.83584 -0.125
H 0.14364 1.26528 -2.17631 -0.361
C 4.25969 3.34575 -0.82028 -0.584
O 3.93442 2.05428 -0.39816 -0.223
H 4.08500 3.43561 -1.88071 0.085
H 3.63782 4.08353 -0.23238 -0.091
H 5.32945 3.57882 -0.58022 0.268
C 6.19326 -3.12554 -1.80915 -1.268
C 6.00462 -1.75978 -2.54441 0.624
C 6.25220 -1.83479 -4.09017 -0.626
O 7.43578 -2.50132 -4.45952 -0.395
C 8.66005 -1.84918 -4.26276 -0.687
N 4.64284 -1.33142 -2.16257 1.653
H 7.16010 -3.49394 -2.05412 0.493
H 5.58397 -3.94584 -2.11359 0.314
H 5.99195 -3.03290 -0.72770 0.195
H 6.67103 -1.00821 -2.00829 0.439
H 6.15388 -0.83798 -4.44551 0.501
H 5.41335 -2.45237 -4.42969 0.264
H 9.41232 -2.58655 -4.46643 0.276
H 8.80121 -1.49429 -3.25066 0.306
H 8.78810 -1.03966 -5.03786 0.265
H 3.91068 -1.98771 -2.35044 0.045
H 4.26601 -0.47264 -2.63683 0.260
C 2.22648 0.78160 -5.88899 -0.792
C 2.75475 1.42541 -4.58020 0.038
C 2.08084 2.70604 -4.17525 -0.215
O 0.82502 2.51359 -3.61073 -0.272
C 0.16348 3.69296 -3.23234 -0.547
N 2.76206 0.46422 -3.45888 -0.196
H 1.35311 0.20971 -5.63380 -0.169
H 2.98046 0.03691 -6.25843 0.326
H 1.93540 1.52894 -6.62834 0.407
H 3.79639 1.57677 -4.84158 0.420
H 2.14005 3.40818 -4.99171 0.550
H 2.77804 3.21374 -3.45118 -0.275
>>>

The reader should echo the entries further above from the line with "-0.82028 -0.584" to the end without altering anything.

C 4.25969 3.34575 -0.82028 -0.584
O 3.93442 2.05428 -0.39816 -0.223
H 4.08500 3.43561 -1.88071 0.085
H 3.63782 4.08353 -0.23238 -0.091
H 5.32945 3.57882 -0.58022 0.268
C 6.19326 -3.12554 -1.80915 -1.268
C 6.00462 -1.75978 -2.54441 0.624
C 6.25220 -1.83479 -4.09017 -0.626
O 7.43578 -2.50132 -4.45952 -0.395
C 8.66005 -1.84918 -4.26276 -0.687
N 4.64284 -1.33142 -2.16257 1.653
H 7.16010 -3.49394 -2.05412 0.493
H 5.58397 -3.94584 -2.11359 0.314
H 5.99195 -3.03290 -0.72770 0.195
H 6.67103 -1.00821 -2.00829 0.439
H 6.15388 -0.83798 -4.44551 0.501
H 5.41335 -2.45237 -4.42969 0.264
H 9.41232 -2.58655 -4.46643 0.276
H 8.80121 -1.49429 -3.25066 0.306
H 8.78810 -1.03966 -5.03786 0.265
H 3.91068 -1.98771 -2.35044 0.045
H 4.26601 -0.47264 -2.63683 0.260
C 2.22648 0.78160 -5.88899 -0.792
C 2.75475 1.42541 -4.58020 0.038
C 2.08084 2.70604 -4.17525 -0.215
O 0.82502 2.51359 -3.61073 -0.272
C 0.16348 3.69296 -3.23234 -0.547
N 2.76206 0.46422 -3.45888 -0.196
H 1.35311 0.20971 -5.63380 -0.169
H 2.98046 0.03691 -6.25843 0.326
H 1.93540 1.52894 -6.62834 0.407
H 3.79639 1.57677 -4.84158 0.420
H 2.14005 3.40818 -4.99171 0.550
H 2.77804 3.21374 -3.45118 -0.275